Dec. 6, 2021 - MOM’S BIRTHDAY/ ST. NICK

Clara Randisi on Scio St. the Eastside Italian enclave in Rochester, NY

Their wedding day was October 12, 1946 one year to the day that I was born. My dad always said I was his first anniversary gift.

My mom and dad on their honeymoon in Niagara Falls of course

Cooking was her favorite past time and caring for others was an essential part of her life. She was constantly baking during the holidays and today are holidays are a commemoration of the things that she made. My loving daughter Kara, carries on that tradition so well.

Mom and I on Saint Joseph’s day one of her favorite times

## Next to the entry, the page also holds quantum chemistry results
<<<
DFT (ωB97M-V with the def2-TZVPD basis set) results for 11 unconnected molecules or ions with the total composition C84H185N11O11 at a distorted geometry.

Values from the calculation:
- Net charge: 0
- LUMO level: 0.5 eV
- Spin multiplicity: 1
- SMILES: CC1(C)CCCC(C)(C)N1O.CC1(C)CCCC(C)(C)N1O.CC1(C)CCCC(C)(C)N1O.CC1(C)CCCC(C)(C)N1O.CC1(C)CCCC(C)(C)N1O.CC1(C)CCCC(C)(C)N1O.CC1(C)CCCC(C)(C)N1O.CC1(C)CCCC(C)(C)N1O.COC[C@H](C)N.COC[C@H](C)N.COC[C@H](C)N
- Highest occupied orbital energy: -8.29 eV
- DFT total energy: -4741.0107 hartree
- Energy relative to the best compared isomer or geometry (same formula, charge and spin): 1.924 eV
- Frontier orbital gap: 0.324 Ha

Each line ends with the Mulliken charge.
CARTESIAN COORDINATES (ANGSTROEM)
O  24.89  17.47  22.00  -0.04
O  17.81  16.42  10.11  -0.50
O  19.77  12.90  19.42  0.91
O  19.96  20.52  13.08  -0.19
O  12.15  19.39  15.64  -0.61
O  22.91  15.87  17.07  0.91
O  11.37  13.94  16.73  -0.36
O  18.51  16.76  17.63  1.90
O  15.00  21.76  20.21  -0.56
O  18.09  15.26  24.36  -0.16
O  28.81  21.30  18.15  -0.56
N  27.58  20.59  18.20  0.24
N  19.11  14.24  21.95  0.18
N  13.15  19.89  14.68  0.37
N  20.00  21.21  14.35  -0.30
N  21.29  15.59  19.72  2.01
N  18.62  15.52  10.96  -0.01
N  19.20  11.60  19.22  -0.29
N  24.30  16.06  16.76  0.49
N  13.74  13.94  18.45  -0.50
N  24.29  17.51  23.36  0.16
N  15.16  20.53  19.55  0.38
C  27.85  20.67  20.65  -1.81
C  14.17  20.07  11.97  -0.72
C  14.67  18.09  15.19  -0.46
C  17.70  12.38  17.51  -1.47
C  25.70  20.05  19.52  -1.06
C  19.69  9.18  19.58  -1.14
C  18.56  10.01  17.46  -1.15
C  26.90  22.02  16.31  -1.93
C  21.67  10.71  19.27  -1.91
C  23.57  16.20  25.78  -0.62
C  13.78  19.86  19.48  2.74
C  24.45  15.77  15.29  1.77
C  20.02  12.07  16.96  -1.65
C  12.07  15.15  17.07  -0.56
C  21.57  22.74  13.51  -2.26
C  20.16  10.63  19.74  1.68
C  19.47  15.82  18.12  0.85
C  26.93  20.97  19.47  1.74
C  16.69  15.72  12.69  -0.48
C  23.92  14.35  14.85  -1.50
C  21.17  22.47  15.92  -1.88
C  26.92  20.60  16.96  1.67
C  9.99  14.05  16.61  -0.76
C  13.02  20.83  18.59  -2.52
C  20.74  16.43  10.19  -1.85
C  20.66  17.86  19.10  -0.34
C  14.78  19.16  12.98  -0.55
C  12.42  20.79  13.70  1.56
C  16.39  18.41  19.44  0.30
C  26.81  15.01  16.02  -1.12
C  20.16  16.42  19.33  0.21
C  19.36  17.68  11.76  -0.51
C  20.78  21.55  17.02  0.21
C  12.97  17.57  13.55  -1.70
C  13.82  18.68  14.06  2.69
C  20.16  10.88  21.19  -2.06
C  17.67  16.28  16.58  -0.79
C  14.12  14.10  16.04  -1.10
C  11.19  20.17  13.04  -1.62
C  20.33  18.84  15.39  -0.12
C  26.50  15.43  17.41  -1.00
C  24.79  20.29  18.31  -0.34
C  19.51  20.88  16.64  -0.88
C  19.56  20.17  15.35  4.07
C  16.94  14.60  20.79  -0.98
C  23.18  16.61  23.28  1.92
C  24.78  15.87  19.11  -1.09
C  26.19  15.87  24.13  -1.61
C  16.72  13.93  11.04  -2.13
C  17.22  14.89  23.37  -1.37
C  22.52  20.81  14.51  -1.43
C  25.58  19.89  17.16  1.07
C  25.40  17.15  24.29  1.61
C  23.74  16.82  14.53  -1.49
>>>

As a great grandmother she was still very active and caring.

And even on her 90th, and last birthday she was still able to conjure up a smile

Today I think I will watch Mom’s favorite movie and get a little nostalgic.
December 6th, 2021
Good morning folks,
Today I am reflecting on my mother, Clara Randisi Bernunzio whose birthday was today. She was born in 1924….such a long "age" ago. People were different then. The world was a smaller place. Roles were more defined and she was glad to be a homemaker and satisfied that she had a better life than the generation before her. She passed away in 2015 but we still think of her every day and especially on December 6, her birthday. My mom was a big influence on my life. The men in my family had been laborers and bakers, but she thought I should be something else. She wanted me to go to college, to get an education and be able to do things that my father and her father couldn’t. She encouraged me musically at a very young age. I remember getting a record player and listening to Spike Jones and Gene Autry and others on colorful, vinyl 78s. She encouraged me to take up a musical instrument when I was in grade school and I played trumpet from 5th grade to 8th grade. (As a sidenote that trumpet was used to buy my very first banjo!) She raised six kids to adulthood and then at the end she let us take care of her. Sadly, she had dementia at the end of her life but it gave us the gift of providing for her.
Today is also the feast day of Saint Nicholas, who was the Bishop of Myra in the province of Lycia during the 4th century. Little is known about his life, but he is remembered as a man of great faith and compassion. He was an advocate for those who had been unjustly condemned. Since he left no writings all we have are the stories that have been passed down over the 1700 years. Of course, Nicholas is most well known in the West as the beloved patron saint of children and gift-giving and is the basis for the character of Santa Claus. According to tradition, Nicholas’ parents died when he was young, leaving him a large sum of money. With his inheritance, Nicholas practiced charity, helping those in need. Of course this is where our tradition of gift giving comes from at Christmas time. But it is also tied to the most commercial time of the year and that is gift buying. Our family always picks names as many do and decide who will buy each other presents. It’s always quite a fun time but things are different now. I’m going to propose something different to my family. Instead of buying a present, I am suggesting that each person draw a name from the hat. Rather than a present they will answer some questions about themselves. From that information their person will have to guess who is their secret Santa. How well do we know each other? Time will tell. I hope all are willing to participate.
John Bernunzio

(Between two parts of the page: data records)
/*
Below is the molecule C5H8O2 in a non-equilibrium geometry, with properties calculated with ωB97M-V/def2-TZVPD.

Results
Lowest unoccupied orbital energy (eV): 0.700
Relative energy (zero: lowest compared OMol25 entry of this formula, charge and spin) (kcal/mol): 106.6
Electronic energy (eV): -9405.2076
Structure (SMILES): OC1[C@@H]2COC[C@@H]12

The geometry in XYZ format:
```
15
C5H8O2 (ωB97M-V/def2-TZVPD)
C -1.4706 -0.1963 0.4891
C -0.2266 -0.7658 -0.2054
C 1.2428 -1.0633 -0.0277
C 0.7795 1.3683 -0.0857
C -0.2055 0.5350 0.6155
H -2.5925 -0.5292 -1.1142
H -1.9296 -0.5884 1.3906
H -0.4030 -0.4428 -1.2400
H 1.6386 -1.4622 0.8824
H 1.7064 -1.6741 -0.8458
H 1.2572 2.2350 0.4291
H 0.5071 1.7056 -1.1170
H 0.2338 0.2617 1.5471
O -2.3611 0.3276 -0.4450
O 1.8236 0.2891 -0.2729
```

These are the Mulliken partial charges, in e, on atoms 1 to 6: atom 1 (C): 0.076, atom 2 (C): -0.059, atom 3 (C): -0.544, atom 4 (C): -0.545, atom 5 (C): 0.044, atom 6 (H): 0.345
*/

My daughter Grace, is the last grandchild to be born. In many ways she is so much like my mom. A few weeks ago she was down in Penn Yan and found an abandoned kitten underneath the pine tree. She rescued it, took it to the vet, and paid a lot of money to get it healthy. It was only a couple weeks old but now "Maisie" has become part of her "family" and is being gently cared for my her constant companion, Penny.